May 26, 2010

The Christianville Spirit: (TCS Series) My Readers

The Christianville Spirit
The Spirit that Inspires You
May 26, 2010- TCS # 200

OK, Everyone it’s time for the 6th and final Installment of The Christianville Spirit Series, “All Thanks to You”. But, First. This is my 200th Newsletter of The Christianville Spirit. You See, Little did I know that My Newsletter would be so popular and read by as many people as I thought it would be. You see, The Christianville Spirit started as an emailed newsletter being emailed to a couple Family Members and Friends. As the life of My Newsletter grew on, I changed my writing from every now and then to every other week. Then, as My Readership started to grow more. I decided to pick a day of the week to write and of course, I chose the day I write on now, Wednesday. This Newsletter itself has had changes as well. I went from just writing about whatever was going on in my life and News in Christianville, to writing Inspirational Articles on something I saw on TV, Heard on The News, Discussions I had with My Mom or Brother and how I viewed events in life and feelings behind it. But, before I ramble on too much about The History of My Newsletter, I’m going to thank the very people who keep me writing and keep this newsletter going. So, without further a due This is The Christianville Spirit Series, “All Thanks to You”. So, For the finale of the series, I’m going to thank YOU, My Readers because you mean so much to Me. So, anyway, The First Thing I Thank You for is Taking time to learn about me, my special needs, and not judging. I know My Grammar is not the best, as I just had to correct the way I spelled “Grammer”, so, The next thing I thank you for tolerating my need to capitalize words. The next thing I want to thank you for is thinking enough to share it with your family and friends. At the end of every newsletter that I’ve ever written, I write My trademark ending “Thanks for Reading The Christianville Spirit”, This is The MOST Important thing I thank you for because I really mean, Thank You for Reading The Christianville Spirit. All in all, If I could hug all of you wonderful readers, I would. Take this hug and know you are loved.

Thanks for Reading The 200th Edition of The Christianville Spirit. What a day to Celebrate to the 200th Newsletter and being blessed by God, Family, Friends, and Readers.

May 19, 2010

(Unrelated to this page: records of crystals)
/*
Record 1
The following is a computed powder XRD pattern of Na4PmSn5. It was derived from a PBE-relaxed structure, using CuKα.
No peak broadening, texture or thermal motion is included.

Peak list (12 most intense, 15° ≤ 2θ ≤ 90°, by intensity)
Position (°2θ), I_rel
32.67, 100
38.85, 31
66.46, 26
53.95, 24
35.92, 19
17.74, 19
88.93, 19
62.52, 16
27.20, 14
68.45, 12
56.12, 11
43.01, 9

Crystal structure
Cell: 3.2780 3.2780 24.9990 Å, 90.00 90.00 90.00°
Positions (direct):
Na (0.0000, 0.0000, 0.1006)
Na (0.0000, 0.0000, 0.3016)
Na (0.0000, 0.0000, 0.6984)
Na (0.0000, 0.0000, 0.8994)
Pm (0.0000, 0.0000, 0.5000)
Sn (0.5000, 0.5000, 0.0000)
Sn (0.5000, 0.5000, 0.2001)
Sn (0.5000, 0.5000, 0.4015)
Sn (0.5000, 0.5000, 0.5985)
Sn (0.5000, 0.5000, 0.7999)

***

Record 2
The following is a computed powder XRD pattern of MgBiAu4. It was derived from a PBE-relaxed structure, using CuKα.
No peak broadening, texture or thermal motion is included.

Peak list (12 most intense, 15° ≤ 2θ ≤ 90°, by intensity)
Position (°2θ), I_rel
37.96, 100
35.30, 87
25.69, 29
47.54, 28
52.80, 28
66.86, 28
70.42, 26
27.54, 20
68.58, 18
57.76, 15
81.16, 12
21.65, 10

Crystal structure
Cell: 4.7403 4.7403 6.4777 Å, 90.00 90.00 120.00°
Positions (direct):
Mg (0.0000, 0.0000, 0.0000)
Bi (0.0000, 0.0000, 0.5000)
Au (0.3333, 0.6667, 0.2269)
Au (0.3333, 0.6667, 0.7731)
Au (0.6667, 0.3333, 0.2269)
Au (0.6667, 0.3333, 0.7731)

***

Record 3
The following is a computed powder XRD pattern of Nd3SiTe. It was derived from a PBE-relaxed structure, using CuKα.
No peak broadening, texture or thermal motion is included.

Peak list (12 most intense, 15° ≤ 2θ ≤ 90°, by intensity)
Position (°2θ), I_rel
32.25, 100
30.59, 72
29.20, 68
42.84, 60
25.03, 57
23.70, 45
29.57, 38
54.62, 34
44.09, 28
35.91, 26
24.63, 25
47.16, 22

Crystal structure
Cell: 9.8386 9.8386 7.3883 Å, 99.27 99.27 77.58°
Positions (direct):
Nd (0.0327, 0.1655, 0.4426)
Nd (0.1404, 0.6547, 0.0369)
Nd (0.1655, 0.0327, 0.9426)
Nd (0.3113, 0.4722, 0.5404)
Nd (0.3453, 0.8596, 0.4631)
Nd (0.4722, 0.3113, 0.0404)
Nd (0.5278, 0.6887, 0.9596)
Nd (0.6547, 0.1404, 0.5369)
Nd (0.6887, 0.5278, 0.4596)
Nd (0.8345, 0.9673, 0.0574)
Nd (0.8596, 0.3453, 0.9631)
Nd (0.9673, 0.8345, 0.5574)
Si (0.2452, 0.7548, 0.7500)
Si (0.4118, 0.5882, 0.2500)
Si (0.5882, 0.4118, 0.7500)
Si (0.7548, 0.2452, 0.2500)
Te (0.1510, 0.3456, 0.8112)
Te (0.3456, 0.1510, 0.3112)
Te (0.6544, 0.8490, 0.6888)
Te (0.8490, 0.6544, 0.1888)

* * * * *

Diffraction record for NdHo7. The X-ray diffraction stick pattern is theoretical, not measured: it uses a cell relaxed with GGA-PBE and Cu Kα X-rays.
No peak broadening, texture or thermal motion is included.

Main lines, in order of rising 2θ (2θ from 10° to 90°):
2θ = 31.0°, rel. 100.0
2θ = 35.9°, rel. 50.6
2θ = 51.7°, rel. 36.0
2θ = 61.5°, rel. 42.8
2θ = 64.5°, rel. 12.3
2θ = 76.1°, rel. 5.7
2θ = 84.4°, rel. 17.9
2θ = 87.1°, rel. 16.7

Cell and atoms:
```
NdHo7
1.0
0.000 5.003 5.003
5.003 0.000 5.003
5.003 5.003 0.000
Nd Ho
1 7
*/

The Christianville Spirit:(TCS Series): PTLS Families

The Christianville Spirit
The Spirit that Inspires You
May 19, 2010- TCS # 199

Ok, Everyone it’s time for the 5th Installment of The Christianville Spirit Series, “All Thanks to You”. Now, before I get to the people I’m going to thank, If you have been following me and my newsletter since the beginning, next week’s newsletter is going to my 200th Newsletter of The Christianville Spirit and I’m very excited about it. And, of course, I’m going to end the “All Thanks to You” Series with a bang. Anyway, back to the people I’m going to thank. So, without further a due this is The Christianville Spirit Series, “All Thanks to You”. For this installment, I’m going to thank an entire union of people, The Families of The PTLS Union. You see, as PTLS Families are diagnosed, We add another wonderful family to what I’m going to call “The Union of PTLS Families” Anyway, so the first thing that I’m going to give thanks for are the parents for is even bringing your child for the study they have in Houston. Which as I went through myself isn’t that easy for the child or the parent. But, However it’s really worth it nowadays, because we have about 30 Families, More or Less who went through the study which we now can gain more information about PTLS. But, when I was diagnosed, there wasn’t much support or information because their weren’t any families. The next thing I thank them for is telling other people about PTLS because then, we get more families to support and support us. The next thing I thank them for is reading My Newsletter because I hear that it helps them be inspired and uplifted about their child when they grow up. I’m Happy to know that a lot of people need to read what I’m writing because most of the families who have children or a Young Adults to be able to see through the eyes of someone with PTLS, and let’s face it, it’s better than being left in the “unknown”. Anyway, another thing I want to thank them for is coming to The PTLS Conference in Houston last summer. But, for those who didn’t come, know there will be others in the future and of course know that we in “The Union of PTLS Families” love and support you. The Most Important Thing I thank them for is Loving their Children who they are. All in all, I Thank all the families for being part of “The Union of PTLS Families”.

Thanks for Reading The Christianville Spirit. Though it may not have been your choice, You are a part of a wonderful Community of PTLS Families which I call a Union.

May 12, 2010

The Christianville Spirit:(TCS Series): PTLS Doctors and Staff

The Christianville Spirit Align CenterThe Spirit that Inspires YouMay 12, 2010- TCS # 198

Next to the entry, the page also holds calculated crystals >
********
For Ce6Mg23Sb, a GGA-PBE-relaxed structure gives the simulated X-ray diffraction stick pattern in this record (Cu Kα X-rays).
Neutral-atom scattering factors, no anomalous dispersion.

Atomic structure:
```
30
Lattice="0.0000 7.2556 7.2556 7.2556 0.0000 7.2556 7.2556 7.2556 0.0000" Properties=species:S:1:pos:R:3 pbc="T T T"
Ce 7.2556 7.2556 3.1360
Ce 7.2556 3.1360 7.2556
Ce 11.3753 7.2556 7.2556
Ce 3.1360 7.2556 7.2556
Ce 7.2556 11.3753 7.2556
Ce 7.2556 7.2556 11.3753
Mg 3.6278 3.6278 0.0000
Mg 3.6278 0.0000 3.6278
Mg 7.2556 3.6278 3.6278
Mg 9.0339 5.4773 5.4773
Mg 2.4419 2.4419 2.4419
Mg 4.8137 4.8137 2.4419
Mg 4.8137 2.4419 4.8137
Mg 5.4773 5.4773 5.4773
Mg 9.0339 9.0339 5.4773
Mg 9.0339 5.4773 9.0339
Mg 2.4419 4.8137 4.8137
Mg 0.0000 3.6278 3.6278
Mg 3.6278 7.2556 3.6278
Mg 3.6278 3.6278 7.2556
Mg 7.2556 7.2556 7.2556
Mg 12.0694 9.6976 9.6976
Mg 5.4773 9.0339 5.4773
Mg 5.4773 5.4773 9.0339
Mg 9.0339 9.0339 9.0339
Mg 9.6976 12.0694 9.6976
Mg 9.6976 9.6976 12.0694
Mg 12.0694 12.0694 12.0694
Mg 5.4773 9.0339 9.0339
Sb 0.0000 0.0000 0.0000
```

Principal peaks in the range 2θ from 15° to 90°, by angle:
21.21 deg, I = 39
24.54 deg, I = 48
27.49 deg, I = 32
32.05 deg, I = 74
34.98 deg, I = 100
37.18 deg, I = 21
44.59 deg, I = 25
48.17 deg, I = 19
62.73 deg, I = 16
66.67 deg, I = 28

=====

For La6Pr2YEr, a GGA-PBE-relaxed structure gives the simulated X-ray diffraction stick pattern in this record (Cu Kα X-rays).
Neutral-atom scattering factors, no anomalous dispersion.

Atomic structure:
```
20
Lattice="4.9463 -7.7064 0.0000 4.9463 7.7064 0.0000 -0.2976 0.0000 9.3449" Properties=species:S:1:pos:R:3 pbc="T T T"
La 2.3421 3.3770 6.3613
La 3.9450 5.5005 8.4215
La 5.5013 5.5005 5.5959
La 4.1809 2.3492 0.8168
La 5.5630 2.3492 3.8557
La 2.4909 -3.3770 1.6888
La 7.1042 3.3770 7.6561
La 4.0320 -2.3492 5.4892
La 5.4142 -2.3492 8.5281
La 4.0938 -5.5005 3.7490
La 5.6501 -5.5005 0.9234
La 7.2530 -3.3770 2.9836
Pr 2.3653 0.6835 4.0990
Pr 2.2165 -0.6835 8.7714
Pr 7.3786 0.6835 0.5735
Pr 7.2298 -0.6835 5.2459
Y 4.8719 6.5568 2.3362
Y 4.7231 -6.5568 7.0087
Er 4.7231 0.9592 7.0087
Er 4.8719 -0.9592 2.3362
```

Principal peaks in the range 2θ from 15° to 90°, by angle:
27.54 deg, I = 51
28.34 deg, I = 41
29.07 deg, I = 99
29.39 deg, I = 56
29.60 deg, I = 42
30.76 deg, I = 57
30.96 deg, I = 100
31.12 deg, I = 42
31.79 deg, I = 45
33.28 deg, I = 29
********

Ok, Everyone. It’s time for the 4th Installment of The Christianville Spirit Series, “All Thanks to You”. For this Installment I’m going to thank a group of people that rarely get thanked and that is Doctors and their Staff. The thing is, Doctors and Staff rarely get thanked for the things they do. Unfortunately, the only time Doctors get thanked when the patient is appreciative . But, you see the Doctors/Staff that I’m Talking about aren’t just any Doctors, They’re the Doctors/Staff of The PTLS Union. There are the very baseline of the Special Needs known as Potocki-Lupski Syndrome( also known as a duplication of Chromosome 17p11.2) so, without further a due, This is The Christianville Spirit Series “All Thanks to You”, the Doctors and Staff of The PTLS Union. The First thing I want to thank them for is putting me through the study to find this duplication in Me. Because, that is why I’m so unique and rare. You see, if it weren’t for them, I could have just been diagnosed with just Autism or unknown, nothing else. The 2nd thing I thank them for all their hard work in discovering everything about PTLS. The 3rd thing I thank them for is for putting together a website so people can learn more about all the things related to it. So, then Parents can know if their child or young adult has PTLS. The 4th thing I want to thank them for is having the first PTLS conference in Houston to bring all the PTLS families to come together, meet, and support each other. The next and most important thing that I want to thank them for is finally naming my duplication Because I feel that it’s easier to say that you have PTLS instead of “a duplication of Chromosome 17”. Anyway, My duplication was actually named by both Dr. Potocki and Dr. Lupski in March 2007. All in all, the people I’m thanking are Dr. Potocki, Dr. Lupski, Patti Furman, and All the other doctors involved because they are awesome.

Thanks for reading The Christianville Spirit. Thank a Doctor every now and then. Because they are there to heal you.

May 5, 2010

The Christianville Spirit: (TCS Series): The Smith Family

The Christianville Spirit
The Spirit that Inspires You
May 5, 2010- TCS # 197

Ok, Everyone. It’s time for the 3rd Installment of The Christianville Spirit Series, “All Thanks to You”. For this installment, I’m not only going to thank one person but, a whole group of people, The Smith Family. So, Without further a due this is The Christianville Spirit Series, “All Thanks to You” on The Smith Family. Now, to give you a little info. about The Smith Family, they are on My Mom’s side of the family, most of them live in the Eastern US. Here’s an interesting fact, If you put where they live on a map, they turn out to live on a straight line. (usually, near I-75, which I affectionately called “ The Smith Alignment”.) Anyway, The first thing I thank them, Mainly Grandma Honey with this one, is giving My Brother and I an awesome, classy Mom. The next thing I thank them for is for even being so classy because if they weren’t, then they could be disrespectful and rude to everyone. Now, this next thing I thank them for may sound funny to you but, I thank them for also looking so good and being loving to everyone. Funny enough, In our family we affectionately called it “The Smith Curse”, though I call it “The Smith Blessing”. and, of course the most important thing is understanding and supporting me with my special needs. All in all, The Smith Family are an awesome, loving family and I love being in it.

Thanks for Reading The Christianville Spirit. Cherish The Family You Have and Have a Happy Cinco de Mayo